_Input_
CaNdMn2O6 | the Materials Project database | PBE with a Hubbard U | optimized geometry; E above lowest polymorph = 0.00 kJ per mole of atoms; symmetry = Pm (6)
1.0
5.444 0.000 0.000
0.000 30.929 0.000
-0.020 0.000 5.501
Ca Nd Mn O
8 8 16 48
direct
0.000 0.000 0.000
0.000 0.250 0.000
0.000 0.750 0.000
0.479 0.500 0.502
0.500 0.125 0.583
0.500 0.875 0.583
0.501 0.376 0.582
0.501 0.624 0.582
0.480 0.000 0.501
0.480 0.250 0.501
0.480 0.750 0.501
0.981 0.125 0.082
0.981 0.374 0.082
0.981 0.626 0.082
0.981 0.875 0.082
0.998 0.500 0.000
0.489 0.312 0.039
0.489 0.688 0.039
0.490 0.062 0.040
0.490 0.188 0.040
0.490 0.437 0.041
0.490 0.563 0.041
0.490 0.812 0.040
0.490 0.938 0.040
0.989 0.313 0.543
0.989 0.687 0.543
0.990 0.062 0.543
0.990 0.187 0.543
0.990 0.813 0.543
0.990 0.938 0.543
0.991 0.437 0.541
0.991 0.563 0.541
0.072 0.125 0.522
0.072 0.375 0.524
0.072 0.625 0.524
0.072 0.875 0.522
0.202 0.447 0.254
0.202 0.553 0.254
0.205 0.302 0.257
0.205 0.698 0.257
0.206 0.052 0.257
0.206 0.948 0.257
0.207 0.198 0.258
0.207 0.802 0.258
0.270 0.449 0.760
0.270 0.551 0.760
0.273 0.302 0.757
0.273 0.698 0.757
0.275 0.052 0.757
0.275 0.198 0.756
0.275 0.802 0.756
0.275 0.948 0.757
0.410 0.125 0.023
0.410 0.875 0.023
0.411 0.375 0.021
0.411 0.625 0.021
0.568 0.500 0.064
0.571 0.000 0.061
0.571 0.250 0.061
0.571 0.750 0.061
0.705 0.323 0.327
0.705 0.677 0.327
0.706 0.073 0.325
0.706 0.927 0.325
0.707 0.177 0.325
0.707 0.823 0.325
0.712 0.426 0.321
0.712 0.574 0.321
0.773 0.323 0.825
0.773 0.677 0.825
0.775 0.073 0.826
0.775 0.177 0.826
0.775 0.823 0.826
0.775 0.927 0.826
0.780 0.428 0.830
0.780 0.572 0.830
0.908 0.500 0.557
0.910 0.000 0.560
0.910 0.250 0.560
0.910 0.750 0.560

=====

The following is a PBE calculation of crystalline Sb2H3C3SCl6O5F3 at its relaxed geometry, from the Materials Project database.

Values from the calculation:
**DFT formation energy**: -1049 meV per atom
**Energy**: -4.832 eV per atom
**Total magnetization**: 0.000 μB/f.u.

Cell and atoms, written as CIF:
```
data_Sb2H3C3SCl6O5F3
_chemical_formula_sum 'Sb4 H6 C6 S2 Cl12 O10 F6'
_cell_length_a 7.0949
_cell_length_b 9.9799
_cell_length_c 14.4328
_cell_angle_alpha 90.37
_cell_angle_beta 90.04
_cell_angle_gamma 105.34
_symmetry_space_group_name_H-M 'P -1'
_symmetry_Int_Tables_number 2
_symmetry_space_group_name_Hall '-P 1'
loop_
_atom_site_label
_atom_site_fract_x
_atom_site_fract_y
_atom_site_fract_z
Sb1 0.1576 0.2729 0.3631
Sb2 0.1586 0.2731 0.1367
H1 0.1982 0.4290 0.7486
H2 0.3581 0.6647 0.6958
H3 0.4278 0.4150 0.8065
C1 0.3517 0.4751 0.7651
C2 0.4153 0.9212 0.2499
C3 0.4357 0.6027 0.7349
S1 0.1785 0.9734 0.2496
Cl1 0.1025 0.8332 0.9595
Cl2 0.1038 0.8324 0.5413
Cl3 0.1431 0.5028 0.3847
Cl4 0.1437 0.5024 0.1155
Cl5 0.4073 0.2833 0.4713
Cl6 0.4109 0.2830 0.0307
O1 0.0044 0.7634 0.7506
O2 0.0241 0.8473 0.2496
O3 0.1961 0.0589 0.1639
O4 0.1956 0.0598 0.3359
O5 0.3671 0.3295 0.2522
F1 0.4224 0.8441 0.1736
F2 0.4217 0.8451 0.3260
F3 0.4314 0.9656 0.7498
```

The following is a PBE calculation of crystalline ScPdO3 at its relaxed geometry, from the Materials Project database.

Values from the calculation:
**DFT formation energy**: -1541 meV per atom
**Energy**: -6.400 eV per atom
**Total magnetization**: 2.994 μB/f.u.

Cell and atoms, written as CIF:
```
data_ScPdO3
_chemical_formula_sum 'Sc1 Pd1 O3'
_cell_length_a 4.0788
_cell_length_b 4.0788
_cell_length_c 4.0788
_cell_angle_alpha 90.00
_cell_angle_beta 90.00
_cell_angle_gamma 90.00
_symmetry_space_group_name_H-M 'P m -3 m'
_symmetry_Int_Tables_number 221
_symmetry_space_group_name_Hall '-P 4 2 3'
loop_
_atom_site_label
_atom_site_fract_x
_atom_site_fract_y
_atom_site_fract_z
Sc1 0.0000 0.0000 0.0000
Pd1 0.5000 0.5000 0.5000
O1 0.0000 0.0000 0.5000
```

The following is a PBE calculation of crystalline AcI3 at its relaxed geometry, from the Materials Project database.

Values from the calculation:
**DFT formation energy**: -1801 meV per atom
**Energy**: -3.690 eV per atom

Cell and atoms, written as CIF:
```
data_AcI3

_Activity_
Reproduce the entries above character by character.

_Done_
CaNdMn2O6 | the Materials Project database | PBE with a Hubbard U | optimized geometry; E above lowest polymorph = 0.00 kJ per mole of atoms; symmetry = Pm (6)
1.0
5.444 0.000 0.000
0.000 30.929 0.000
-0.020 0.000 5.501
Ca Nd Mn O
8 8 16 48
direct
0.000 0.000 0.000
0.000 0.250 0.000
0.000 0.750 0.000
0.479 0.500 0.502
0.500 0.125 0.583
0.500 0.875 0.583
0.501 0.376 0.582
0.501 0.624 0.582
0.480 0.000 0.501
0.480 0.250 0.501
0.480 0.750 0.501
0.981 0.125 0.082
0.981 0.374 0.082
0.981 0.626 0.082
0.981 0.875 0.082
0.998 0.500 0.000
0.489 0.312 0.039
0.489 0.688 0.039
0.490 0.062 0.040
0.490 0.188 0.040
0.490 0.437 0.041
0.490 0.563 0.041
0.490 0.812 0.040
0.490 0.938 0.040
0.989 0.313 0.543
0.989 0.687 0.543
0.990 0.062 0.543
0.990 0.187 0.543
0.990 0.813 0.543
0.990 0.938 0.543
0.991 0.437 0.541
0.991 0.563 0.541
0.072 0.125 0.522
0.072 0.375 0.524
0.072 0.625 0.524
0.072 0.875 0.522
0.202 0.447 0.254
0.202 0.553 0.254
0.205 0.302 0.257
0.205 0.698 0.257
0.206 0.052 0.257
0.206 0.948 0.257
0.207 0.198 0.258
0.207 0.802 0.258
0.270 0.449 0.760
0.270 0.551 0.760
0.273 0.302 0.757
0.273 0.698 0.757
0.275 0.052 0.757
0.275 0.198 0.756
0.275 0.802 0.756
0.275 0.948 0.757
0.410 0.125 0.023
0.410 0.875 0.023
0.411 0.375 0.021
0.411 0.625 0.021
0.568 0.500 0.064
0.571 0.000 0.061
0.571 0.250 0.061
0.571 0.750 0.061
0.705 0.323 0.327
0.705 0.677 0.327
0.706 0.073 0.325
0.706 0.927 0.325
0.707 0.177 0.325
0.707 0.823 0.325
0.712 0.426 0.321
0.712 0.574 0.321
0.773 0.323 0.825
0.773 0.677 0.825
0.775 0.073 0.826
0.775 0.177 0.826
0.775 0.823 0.826
0.775 0.927 0.826
0.780 0.428 0.830
0.780 0.572 0.830
0.908 0.500 0.557
0.910 0.000 0.560
0.910 0.250 0.560
0.910 0.750 0.560

=====

The following is a PBE calculation of crystalline Sb2H3C3SCl6O5F3 at its relaxed geometry, from the Materials Project database.

Values from the calculation:
**DFT formation energy**: -1049 meV per atom
**Energy**: -4.832 eV per atom
**Total magnetization**: 0.000 μB/f.u.

Cell and atoms, written as CIF:
```
data_Sb2H3C3SCl6O5F3
_chemical_formula_sum 'Sb4 H6 C6 S2 Cl12 O10 F6'
_cell_length_a 7.0949
_cell_length_b 9.9799
_cell_length_c 14.4328
_cell_angle_alpha 90.37
_cell_angle_beta 90.04
_cell_angle_gamma 105.34
_symmetry_space_group_name_H-M 'P -1'
_symmetry_Int_Tables_number 2
_symmetry_space_group_name_Hall '-P 1'
loop_
_atom_site_label
_atom_site_fract_x
_atom_site_fract_y
_atom_site_fract_z
Sb1 0.1576 0.2729 0.3631
Sb2 0.1586 0.2731 0.1367
H1 0.1982 0.4290 0.7486
H2 0.3581 0.6647 0.6958
H3 0.4278 0.4150 0.8065
C1 0.3517 0.4751 0.7651
C2 0.4153 0.9212 0.2499
C3 0.4357 0.6027 0.7349
S1 0.1785 0.9734 0.2496
Cl1 0.1025 0.8332 0.9595
Cl2 0.1038 0.8324 0.5413
Cl3 0.1431 0.5028 0.3847
Cl4 0.1437 0.5024 0.1155
Cl5 0.4073 0.2833 0.4713
Cl6 0.4109 0.2830 0.0307
O1 0.0044 0.7634 0.7506
O2 0.0241 0.8473 0.2496
O3 0.1961 0.0589 0.1639
O4 0.1956 0.0598 0.3359
O5 0.3671 0.3295 0.2522
F1 0.4224 0.8441 0.1736
F2 0.4217 0.8451 0.3260
F3 0.4314 0.9656 0.7498
```

The following is a PBE calculation of crystalline ScPdO3 at its relaxed geometry, from the Materials Project database.

Values from the calculation:
**DFT formation energy**: -1541 meV per atom
**Energy**: -6.400 eV per atom
**Total magnetization**: 2.994 μB/f.u.

Cell and atoms, written as CIF:
```
data_ScPdO3
_chemical_formula_sum 'Sc1 Pd1 O3'
_cell_length_a 4.0788
_cell_length_b 4.0788
_cell_length_c 4.0788
_cell_angle_alpha 90.00
_cell_angle_beta 90.00
_cell_angle_gamma 90.00
_symmetry_space_group_name_H-M 'P m -3 m'
_symmetry_Int_Tables_number 221
_symmetry_space_group_name_Hall '-P 4 2 3'
loop_
_atom_site_label
_atom_site_fract_x
_atom_site_fract_y
_atom_site_fract_z
Sc1 0.0000 0.0000 0.0000
Pd1 0.5000 0.5000 0.5000
O1 0.0000 0.0000 0.5000
```

The following is a PBE calculation of crystalline AcI3 at its relaxed geometry, from the Materials Project database.

Values from the calculation:
**DFT formation energy**: -1801 meV per atom
**Energy**: -3.690 eV per atom

Cell and atoms, written as CIF:
```
data_AcI3